Given.
First-principles (PBE) data for a relaxed structure of Be3Ni, as listed in Materials Project.

Computed properties:
- Uncorrected energy: -4.533 eV per atom
- Formation energy from the elements: -284 meV/atom
- Crystal system: tetragonal
- Distance to the lowest polymorph of the same formula: 0.000 eV/f.u.

Unit cell a=4.075 b=4.075 c=4.075 alpha=134.60 beta=134.60 gamma=66.16
Sites, in units of the cell vectors:
Ni1 0.000 0.000 0.000
Be1 0.750 0.250 0.500
Be2 0.500 0.500 0.000
Be3 0.250 0.750 0.500

=====

First-principles (PBE) data for a relaxed structure of LiNdGeO4, as listed in Materials Project.

Computed properties:
- Uncorrected energy: -6.907 eV per atom
- Formation energy from the elements: -2858 meV/atom
- Crystal system: orthorhombic

Unit cell a=5.155 b=5.456 c=12.049 alpha=90.00 beta=90.00 gamma=90.00
Sites, in units of the cell vectors:
O1 0.749 0.415 0.543
O2 0.251 0.085 0.543
O3 0.176 0.953 0.298
O4 0.749 0.915 0.457
O5 0.676 0.547 0.798
Nd1 0.000 0.250 0.887
Ge1 0.500 0.250 0.110
O6 0.251 0.585 0.457
O7 0.324 0.453 0.202
O8 0.176 0.453 0.702
O9 0.324 0.953 0.798
Nd2 0.500 0.250 0.387
O10 0.751 0.415 0.043
Li1 0.000 0.750 0.767
O11 0.751 0.915 0.957
O12 0.249 0.085 0.043
Nd3 0.500 0.750 0.613
Li2 0.500 0.750 0.267
O13 0.676 0.047 0.202
Ge2 0.000 0.750 0.390
O14 0.824 0.047 0.702
Ge3 0.500 0.750 0.890
O15 0.249 0.585 0.957
Ge4 0.000 0.250 0.610
O16 0.824 0.547 0.298
Nd4 0.000 0.750 0.113
Li3 0.500 0.250 0.733
Li4 0.000 0.250 0.233

=====

First-principles (PBE) data for a relaxed structure of CeSe2, as listed in Materials Project.

Computed properties:
- Uncorrected energy: -5.784 eV per atom
- Formation energy from the elements: -1790 meV/atom
- Crystal system: tetragonal

Unit cell a=6.612 b=6.612 c=8.776 alpha=90.00 beta=90.00 gamma=90.00
Sites, in units of the cell vectors:
Se1 0.207 0.180 0.771
Ce1 0.525 0.475 0.250
Ce2 0.475 0.525 0.750
Se2 0.293 0.680 0.479
Se3 0.680 0.293 0.521
Se4 0.180 0.207 0.229
Se5 0.320 0.707 0.021
Se6 0.793 0.820 0.271
Se7 0.707 0.320 0.979
Ce3 0.975 0.975 0.000
Ce4 0.025 0.025 0.500
Se8 0.820 0.793 0.729

=====

First-principles (PBE) data for a relaxed structure of Bi2Se3O10, as listed in Materials Project.

Computed properties:
- Uncorrected energy: -5.471 eV per atom
- Formation energy from the elements: -1413 meV/atom
- Crystal system: monoclinic

Unit cell a=8.957 b=8.957 c=8.169 alpha=69.37 beta=69.37 gamma=50.89
Sites, in units of the cell vectors:
Se1 0.053 0.200 0.528
O1 0.960 0.423 0.385
Se2 0.389 0.611 0.750
O2 0.001 0.252 0.734
O3 0.748 0.999 0.766
O4 0.423 0.960 0.885
O5 0.577 0.040 0.115
O6 0.999 0.748 0.266
Bi1 0.523 0.835 0.350
O7 0.289 0.752 0.567
Se3 0.611 0.389 0.250
O8 0.602 0.585 0.694
O9 0.695 0.892 0.523
Se4 0.200 0.053 0.028
Bi2 0.835 0.523 0.850
O10 0.305 0.108 0.477
O11 0.248 0.711 0.933
O12 0.585 0.602 0.194
O13 0.892 0.695 0.023
O14 0.711 0.248 0.433
Se5 0.800 0.947 0.972
Se6 0.947 0.800 0.472
Bi3 0.477 0.165 0.650
O15 0.752 0.289 0.067
O16 0.040 0.577 0.615
O17 0.398 0.415 0.306
Bi4 0.165 0.477 0.150
O18 0.252 0.001 0.234
O19 0.415 0.398 0.806
O20 0.108 0.305 0.977

=====

Which value of uncorrected energy does entry 4 give?
-5.471 eV per atom

----------

Record 1
Ti5CoSb2 (r2SCAN, relaxed); mass density = 6.48 Mg/m³
1.0
-5.196 5.196 2.571
5.196 -5.196 2.571
5.196 5.196 -2.571
Ti Co Sb
10 2 4
Cartesian
8.294 0.723 0.000
0.723 2.098 0.000
5.196 0.000 1.286
5.919 3.098 0.000
3.098 4.473 0.000
2.098 0.723 2.571
-0.723 2.098 2.571
0.000 5.196 1.286
4.473 3.098 2.571
-3.098 4.473 2.571
0.000 0.000 1.286
0.000 0.000 3.857
3.490 1.706 0.000
3.490 -1.706 2.571
1.706 6.901 0.000
1.706 3.490 2.571

=====

Record 2
NaCd2Rh (r2SCAN, relaxed); mass density = 7.95 Mg/m³
1.0
0.000 3.321 3.321
3.321 0.000 3.321
3.321 3.321 0.000
Na Cd Rh
1 2 1
Cartesian
0.000 0.000 0.000
1.661 1.661 1.661
4.982 4.982 4.982
3.321 3.321 3.321

=====

Record 3
LaMgCu (r2SCAN, relaxed); mass density = 5.28 Mg/m³
1.0
7.837 0.000 0.000
-3.918 6.787 0.000
0.000 0.000 4.025
La Mg Cu

Exercise.
Now return only the lines further up with the word "formula" in them.

Here it is.
- Distance to the lowest polymorph of the same formula: 0.000 eV/f.u.